S K Y · V A L L E Y · N E V E R · C O M E S
I’m actually getting somewhere with my XIII Legion army.
- I stand alone on the cliffs of the world
- No one never tends to me
- Sitting alone covered in grease
- Some things are so my mind can breathe”
Springtime is a funny time of year down here. We’ve had some days of AMAZING sunshine (yay rattlecan priming!) and some days of truly terrible grimy rain (yay excuse to disappear into the cellar and paint). I’m looking forward to Kindergarten-virus season being well and truly over and being able to go out with the kids regularly.
I’ve been working on the basic layout and code junk behind the blog this past few weeks, but what have I been doing hobbywise? Usual butterfly-ing here and there but the long and the short of it is: XIII LEGION ARE GO.
Just basing and some transfers left to go and I’ll have a ton of Calth-born infantry ready for the table.
20x Tactical Legionaries
I like to follow the Heresy Era rule of thumb for a new army - a big chonk of Tacticals to form the core and make sure you have some scoring units with line
. They’re going to need some kind of taxi to zoom around in though…
Inserted here: data records >
- - -
1.
Diffraction record for AlPb3OF9. The PXRD pattern is calculated, not measured: it uses DFT lattice parameters and positions (PBE) and Cu Kα.
Neutral-atom scattering factors, no anomalous dispersion.

Principal peaks in the range 10 to 90 degrees two-theta, sorted by position:
Position (°2θ)	d_spacing	I (rel.)
25.00	3.561	100
25.48	3.496	44
26.98	3.305	39
27.55	3.238	90
28.95	3.084	55
31.09	2.877	43
44.47	2.037	55
52.61	1.740	43

```
AlPb3OF9
1.0
5.7374 0.0000 0.0000
0.0000 5.7932 0.0000
-3.6094 0.0000 24.6753
Al Pb O F
4 12 4 36
Direct
0.1045 0.1844 0.4076
0.1045 0.3156 0.9076
0.8955 0.6844 0.0924
0.8955 0.8156 0.5924
0.0570 0.6761 0.3102
0.0570 0.8239 0.8102
0.3817 0.1740 0.0608
0.3817 0.3260 0.5608
0.4691 0.6438 0.1882
0.4691 0.8562 0.6882
0.5309 0.1438 0.3118
0.5309 0.3562 0.8118
0.6183 0.6740 0.4392
0.6183 0.8260 0.9392
0.9430 0.1761 0.1898
0.9430 0.3239 0.6898
0.3622 0.7213 0.5065
0.3622 0.7787 0.0065
0.6378 0.2213 0.9935
0.6378 0.2787 0.4935
0.0687 0.0832 0.5925
0.0687 0.4168 0.0925
0.0913 0.1327 0.3333
0.0913 0.3673 0.8333
0.1172 0.2433 0.4776
0.1172 0.2567 0.9776
0.1665 0.6380 0.6099
0.1665 0.8620 0.1099
0.2451 0.5834 0.7452
0.2451 0.9166 0.2452
0.2552 0.0792 0.7516
0.2552 0.4208 0.2516
0.2720 0.0490 0.8962
0.2720 0.4510 0.3962
0.3871 0.0321 0.4155
0.3871 0.4679 0.9155
0.4753 0.2316 0.1593
0.4753 0.2684 0.6593
0.5247 0.7316 0.3407
0.5247 0.7684 0.8407
0.6129 0.5321 0.0845
0.6129 0.9679 0.5845
0.7280 0.5490 0.6038
0.7280 0.9510 0.1038
0.7448 0.5792 0.7484
0.7448 0.9208 0.2484
0.7549 0.0834 0.7548
0.7549 0.4166 0.2548
0.8335 0.1380 0.8901
0.8335 0.3620 0.3901
0.8828 0.7433 0.0224
0.8828 0.7567 0.5224
0.9087 0.6327 0.1667
0.9087 0.8673 0.6667
0.9313 0.5832 0.9075
0.9313 0.9168 0.4075
```


2.
Diffraction record for Zr2N2O. The PXRD pattern is calculated, not measured: it uses DFT lattice parameters and positions (PBE) and Cu Kα.
Neutral-atom scattering factors, no anomalous dispersion.

Principal peaks in the range 10 to 90 degrees two-theta, sorted by position:
Position (°2θ)	d_spacing	I (rel.)
21.23	4.184	18
30.18	2.961	100
30.29	2.951	33
35.02	2.562	37
50.30	1.814	25
50.43	1.810	25
59.76	1.547	11
59.87	1.545	18

```
Zr2N2O
1.0
8.8536 0.0000 0.0000
-2.9295 8.3828 0.0000
-2.9608 -4.1864 7.2535
Zr N O
16 16 8
Direct
0.0000 0.0000 0.0000
0.0058 0.5044 0.5025
0.0377 0.2862 0.8158
0.2130 0.2418 0.5354
0.2418 0.0338 0.7848
0.2596 0.5450 0.2834
0.2918 0.8220 0.0361
0.4670 0.7864 0.7481
0.4942 0.5610 0.0710
0.5045 0.0674 0.5680
0.5318 0.2759 0.3089
0.7142 0.7522 0.5451
0.7497 0.5308 0.7943
0.7607 0.0524 0.2945
0.7919 0.3340 0.0439
0.9689 0.7908 0.2561
0.0267 0.5789 0.2987
0.2106 0.7611 0.7534
0.2230 0.9924 0.5153
0.2391 0.5719 0.0501
0.2812 0.0781 0.0590
0.3008 0.3084 0.8223
0.4832 0.4936 0.2773
0.4888 0.8066 0.5177
0.5154 0.0244 0.3224
0.7111 0.5298 0.0155
0.7166 0.7698 0.7978
0.7358 0.2597 0.2364
0.7835 0.2968 0.7761
0.9772 0.0008 0.7369
0.9824 0.2760 0.5576
0.9895 0.0443 0.2501
0.0157 0.2624 0.0604
0.0239 0.7603 0.0220
0.2673 0.4999 0.5261
- - -
10x Inductii
I took the decision rather late to paint these as Inductii. I’ve built 4 Melta-toting Legionaries and another 5 Bolter Legionaries to make up a second squad of ten already. Thought about doing Plasma guns for two of them but decided to hang fire so I’ll have enough to do a 10-man support squad for another legion down the line.
5x Volkite Culverin Heavy Support
I have 5 Heavy Volkite in my SoH army and I love the choom-choom they bring. With an Armistos Consul stood next to these guys I look forward to doing some anti-infantry damage!
5x Command Squad
Bought the box when it first came out and didn’t really have a plan for them. The remainder of the box went into a 5-man XVI Chieftains unit that I’m also looking forward to painting.
Legion Praevian
One of my backburner Heresy projects is a Mechanicum Tagmahta force. I’ve got 4 Castellax, wouldn’t it be cool if I could use them as built in allies? I can’t remember the other Consul type who can bring Thallax but I guess he could count as that too?
Thunderhammer/Jump pack Praetor AKA Demetrian Titus AKA Captain Demetrius Graiar
What a wonderful model. I’m a big fan of Tortuga Bay and this was a reward for Patreons late last year.
I would like to name my XIII inspirations while I’m at it:
Heresy Era doesn’t have any Ultramarines content up (yet!) but I’m sure that’ll get my Macraggian juices flowing whenever he does get around to it.
Anyway: next up, a Spartan, a Predator and a Contemptor Dreadnought!